_Wanted_
Could you copy the whole of the calculation results further down verbatim?

_File_
........
DFT (GGA+U) results for Li3MnCoO5 after structural relaxation.

Output
relative energy among the computed polymorphs	0.20	eV per formula unit
density	4.1	g/cm³
V	347.2	Å³ per cell

abc: 5.0001 14.4262 5.0992
angles: 90.00 109.27 90.00
Space group C2 (No. 5)
Symmetry-distinct sites (fractional):
Li: 0.0000 0.9997 0.0000 [2 per cell]
Li: 0.0000 0.0936 0.5000 [2 per cell]
Li: 0.0000 0.2984 0.5000 [2 per cell]
Li: 0.0000 0.5000 0.5000 [2 per cell]
Li: 0.0000 0.6962 0.5000 [2 per cell]
Li: 0.0000 0.9038 0.5000 [2 per cell]
Mn: 0.0000 0.5958 0.0000 [2 per cell]
Mn: 0.0000 0.8003 0.0000 [2 per cell]
Co: 0.0000 0.1973 0.0000 [2 per cell]
Co: 0.0000 0.4009 0.0000 [2 per cell]
O: 0.2235 0.5013 0.2365 [4 per cell]
O: 0.2375 0.8895 0.2310 [4 per cell]
O: 0.2431 0.6971 0.2172 [4 per cell]
O: 0.2479 0.6050 0.7799 [4 per cell]
O: 0.2490 0.2962 0.2201 [4 per cell]

* * * * *

This record from Alexandria via LeMat-Bulk describes a relaxed structure of Cd5Ru. The functional is GGA-PBE.

Calculated values
magnetic moment: 1.6 μB per cell
E: -2.155 eV per atom
calculated formation energy: 0.153 eV/atom

Lattice parameters (Å, degrees): 4.796 3.042 16.619 90.00 90.00 90.00
Space group Amm2 (No. 38)
Asymmetric unit:
1 Cd 0.000 0.000 0.000 x2
2 Cd 0.000 0.000 0.301 x2
3 Cd 0.500 0.000 0.198 x2
4 Cd 0.500 0.000 0.547 x2
5 Cd 0.500 0.000 0.877 x2
6 Ru 0.000 0.000 0.650 x2

* * * * *

[1]
SmPS | PBE | relaxed

Lattice parameters (Å, degrees): 7.149 3.723 9.389 90.00 90.00 90.00
Positions (direct):
Sm 0.204 0.250 0.159
Sm 0.296 0.750 0.659
Sm 0.704 0.250 0.341
Sm 0.796 0.750 0.841
P 0.086 0.250 0.462
P 0.414 0.750 0.962
P 0.586 0.250 0.038
P 0.914 0.750 0.538
S 0.095 0.250 0.845
S 0.405 0.750 0.345
S 0.595 0.250 0.655
S 0.905 0.750 0.155

final energy	-18.77	eV/f.u.
E_form (uncorrected)	-1504	meV/atom
total magnetization	0.000	Bohr magnetons per cell
calculated volume	20.824	A^3/atom

---

[2]
SmPS | PBE | relaxed

Lattice parameters (Å, degrees): 5.495 5.445 17.042 90.00 90.00 90.00
Positions (direct):
Sm 0.015 0.250 0.147
Sm 0.016 0.750 0.362
Sm 0.484 0.250 0.862
Sm 0.485 0.750 0.647
Sm 0.515 0.250 0.353
Sm 0.516 0.750 0.138
Sm 0.984 0.250 0.638
Sm 0.985 0.750 0.853
P 0.201 0.541 0.997
P 0.201 0.959 0.997
P 0.299 0.041 0.497
P 0.299 0.459 0.497
P 0.701 0.541 0.503
P 0.701 0.959 0.503
P 0.799 0.041 0.003
P 0.799 0.459 0.003
S 0.012 0.250 0.317
S 0.015 0.750 0.189
S 0.485 0.250 0.689
S 0.488 0.750 0.817
S 0.512 0.250 0.183
S 0.515 0.750 0.311
S 0.985 0.250 0.811
S 0.988 0.750 0.683

final energy	-18.96	eV/f.u.
E_form (uncorrected)	-1567	meV/atom
total magnetization	0.000	Bohr magnetons per cell
calculated volume	21.245	A^3/atom

---

[3]
Sm6SnP2S3 | PBE | relaxed

Lattice parameters (Å, degrees): 9.236 9.236 8.301 102.64 102.64 25.73
Positions (direct):
Sm 0.002 0.002 0.267
Sm 0.327 0.327 0.906
Sm 0.330 0.330 0.421
Sm 0.670 0.670 0.579
Sm 0.673 0.673 0.094
Sm 0.998 0.998 0.733
Sn 0.500 0.500 0.000
P 0.168 0.168 0.336
P 0.832 0.832 0.664
S 0.166 0.166 0.832
S 0.500 0.500 0.500
S 0.834 0.834 0.168

final energy	-75.39	eV/f.u.
E_form (uncorrected)	-1656	meV/atom
total magnetization	0.000	Bohr magnetons per cell
calculated volume	24.961	A^3/atom

---

[4]
Sm6SnP3S2 | PBE | relaxed

Lattice parameters (Å, degrees): 9.276 9.276 8.361 103.04 103.04 25.56
Positions (direct):
Sm 0.000 0.000 0.232
Sm 0.000 0.000 0.768
Sm 0.327 0.327 0.417
Sm 0.335 0.335 0.911
Sm 0.665 0.665 0.089
Sm 0.673 0.673 0.583
Sn 0.500 0.500 0.500
P 0.166 0.166 0.331
P 0.500 0.500 0.000
P 0.834 0.834 0.669
S 0.170 0.170 0.839
S 0.830 0.830 0.161

final energy	-75.85	eV/f.u.
E_form (uncorrected)	-1588	meV/atom
total magnetization	0.000	Bohr magnetons per cell
calculated volume	25.164	A^3/atom

---

[5]
Sm4SnPS2 | PBE | relaxed

Lattice parameters (Å, degrees): 7.200 4.147 7.263 90.00 109.47 90.00
Positions (direct):
Sm 0.239 0.000 0.234
Sm 0.250 0.500 0.761
Sm 0.750 0.500 0.239
Sm 0.761 0.000 0.766
Sn 0.500 0.500 0.500
P 0.500 0.000 0.000
S 0.000 0.000 0.500
S 0.000 0.500 0.000
........

_Done_
DFT (GGA+U) results for Li3MnCoO5 after structural relaxation.

Output
relative energy among the computed polymorphs	0.20	eV per formula unit
density	4.1	g/cm³
V	347.2	Å³ per cell

abc: 5.0001 14.4262 5.0992
angles: 90.00 109.27 90.00
Space group C2 (No. 5)
Symmetry-distinct sites (fractional):
Li: 0.0000 0.9997 0.0000 [2 per cell]
Li: 0.0000 0.0936 0.5000 [2 per cell]
Li: 0.0000 0.2984 0.5000 [2 per cell]
Li: 0.0000 0.5000 0.5000 [2 per cell]
Li: 0.0000 0.6962 0.5000 [2 per cell]
Li: 0.0000 0.9038 0.5000 [2 per cell]
Mn: 0.0000 0.5958 0.0000 [2 per cell]
Mn: 0.0000 0.8003 0.0000 [2 per cell]
Co: 0.0000 0.1973 0.0000 [2 per cell]
Co: 0.0000 0.4009 0.0000 [2 per cell]
O: 0.2235 0.5013 0.2365 [4 per cell]
O: 0.2375 0.8895 0.2310 [4 per cell]
O: 0.2431 0.6971 0.2172 [4 per cell]
O: 0.2479 0.6050 0.7799 [4 per cell]
O: 0.2490 0.2962 0.2201 [4 per cell]

* * * * *

This record from Alexandria via LeMat-Bulk describes a relaxed structure of Cd5Ru. The functional is GGA-PBE.

Calculated values
magnetic moment: 1.6 μB per cell
E: -2.155 eV per atom
calculated formation energy: 0.153 eV/atom

Lattice parameters (Å, degrees): 4.796 3.042 16.619 90.00 90.00 90.00
Space group Amm2 (No. 38)
Asymmetric unit:
1 Cd 0.000 0.000 0.000 x2
2 Cd 0.000 0.000 0.301 x2
3 Cd 0.500 0.000 0.198 x2
4 Cd 0.500 0.000 0.547 x2
5 Cd 0.500 0.000 0.877 x2
6 Ru 0.000 0.000 0.650 x2

* * * * *

[1]
SmPS | PBE | relaxed

Lattice parameters (Å, degrees): 7.149 3.723 9.389 90.00 90.00 90.00
Positions (direct):
Sm 0.204 0.250 0.159
Sm 0.296 0.750 0.659
Sm 0.704 0.250 0.341
Sm 0.796 0.750 0.841
P 0.086 0.250 0.462
P 0.414 0.750 0.962
P 0.586 0.250 0.038
P 0.914 0.750 0.538
S 0.095 0.250 0.845
S 0.405 0.750 0.345
S 0.595 0.250 0.655
S 0.905 0.750 0.155

final energy	-18.77	eV/f.u.
E_form (uncorrected)	-1504	meV/atom
total magnetization	0.000	Bohr magnetons per cell
calculated volume	20.824	A^3/atom

---

[2]
SmPS | PBE | relaxed

Lattice parameters (Å, degrees): 5.495 5.445 17.042 90.00 90.00 90.00
Positions (direct):
Sm 0.015 0.250 0.147
Sm 0.016 0.750 0.362
Sm 0.484 0.250 0.862
Sm 0.485 0.750 0.647
Sm 0.515 0.250 0.353
Sm 0.516 0.750 0.138
Sm 0.984 0.250 0.638
Sm 0.985 0.750 0.853
P 0.201 0.541 0.997
P 0.201 0.959 0.997
P 0.299 0.041 0.497
P 0.299 0.459 0.497
P 0.701 0.541 0.503
P 0.701 0.959 0.503
P 0.799 0.041 0.003
P 0.799 0.459 0.003
S 0.012 0.250 0.317
S 0.015 0.750 0.189
S 0.485 0.250 0.689
S 0.488 0.750 0.817
S 0.512 0.250 0.183
S 0.515 0.750 0.311
S 0.985 0.250 0.811
S 0.988 0.750 0.683

final energy	-18.96	eV/f.u.
E_form (uncorrected)	-1567	meV/atom
total magnetization	0.000	Bohr magnetons per cell
calculated volume	21.245	A^3/atom

---

[3]
Sm6SnP2S3 | PBE | relaxed

Lattice parameters (Å, degrees): 9.236 9.236 8.301 102.64 102.64 25.73
Positions (direct):
Sm 0.002 0.002 0.267
Sm 0.327 0.327 0.906
Sm 0.330 0.330 0.421
Sm 0.670 0.670 0.579
Sm 0.673 0.673 0.094
Sm 0.998 0.998 0.733
Sn 0.500 0.500 0.000
P 0.168 0.168 0.336
P 0.832 0.832 0.664
S 0.166 0.166 0.832
S 0.500 0.500 0.500
S 0.834 0.834 0.168

final energy	-75.39	eV/f.u.
E_form (uncorrected)	-1656	meV/atom
total magnetization	0.000	Bohr magnetons per cell
calculated volume	24.961	A^3/atom

---

[4]
Sm6SnP3S2 | PBE | relaxed

Lattice parameters (Å, degrees): 9.276 9.276 8.361 103.04 103.04 25.56
Positions (direct):
Sm 0.000 0.000 0.232
Sm 0.000 0.000 0.768
Sm 0.327 0.327 0.417
Sm 0.335 0.335 0.911
Sm 0.665 0.665 0.089
Sm 0.673 0.673 0.583
Sn 0.500 0.500 0.500
P 0.166 0.166 0.331
P 0.500 0.500 0.000
P 0.834 0.834 0.669
S 0.170 0.170 0.839
S 0.830 0.830 0.161

final energy	-75.85	eV/f.u.
E_form (uncorrected)	-1588	meV/atom
total magnetization	0.000	Bohr magnetons per cell
calculated volume	25.164	A^3/atom

---

[5]
Sm4SnPS2 | PBE | relaxed

Lattice parameters (Å, degrees): 7.200 4.147 7.263 90.00 109.47 90.00
Positions (direct):
Sm 0.239 0.000 0.234
Sm 0.250 0.500 0.761
Sm 0.750 0.500 0.239
Sm 0.761 0.000 0.766
Sn 0.500 0.500 0.500
P 0.500 0.000 0.000
S 0.000 0.000 0.500
S 0.000 0.500 0.000